Ethiopian Music
Ethiopian music videos
Abdu Kiar - Yene Mar (Ethiopian Music)
Added 2,197 Views / 0 LikesAbdu Kiar - Yene Mar (Ethiopian Music) 378
Abdu Kiar - Zhiwa Zhiwe (Ethiopian Music)
Added 5,267 Views / 5 LikesEthiopian Music - Abdu Kiar - Zhwa Zhwe (ዥዋዥዌ) - Ethiopian Music (Official Audio)
Abdu Kiar - Zhwa Zhwe (Ethiopian Music)
Added 5,065 Views / 0 LikesEthiopian Music 2016 : Abdu Kiar - Zhwa Zhwe
Abdu Kiyar - Yene Mar (Ethiopian Music)
Added 1,782 Views / 0 LikesAbdu Kiyar - Yene Mar (Ethiopian Music)
Abdy Jemal - Habiboye (Ethiopian Music)
Added 1,250 Views / 0 LikesAbdy Jemal - Habiboye (Ethiopian Music)
Abe Werku - Melkuama (Ethiopian Music )
Added 2,844 Views / 1 LikesAbe Werku - Melkuama (Ethiopian Music )
Abeba Demeke - Belilign Gorded (Ethiopian music)
Added 1,140 Views / 0 LikesAbout Ethiopian Music: Ethiopia a country of traditional music. Contemporary music has been gaining ground since the 1960s. But most musicians who produce modern songs also sing traditional songs because there is a huge audience for it. A long-standing po
Abeba desalegn Bate Asaklugn (Ethiopian music)
Added 5,883 Views / 1 LikesAbeba desalegn Bate Asaklugn (Ethiopian music) 64
Abeba Desalegn Kurtegna Kehonek (Ethiopian music)
Added 5,939 Views / 3 LikesAbeba Desalegn Kurtegna Kehonek (Ethiopian music) 383
Abeba Desalegn & Tigist Fantahun - Irjign Abro Adege (Ethiopian Music)
## Misplaced molecular data
- - -
A cluster of 11 separate species, C28H71F9NO12S in total at a distorted geometry. Source: OMol25; level of theory: ωB97M-V with the def2-TZVPD basis set.

LUMO = 1.98 eV
F_max = 1.02 eV/Å
energy = -3363.9798 Ha
charge = -1

Each line ends with the Löwdin charge.
CARTESIAN COORDINATES (ANGSTROEM)
O  -0.883  -1.618  2.156  -0.066
C  -1.000  -1.890  0.935  -0.688
O  -1.251  -3.006  0.420  -0.059
C  -0.774  -0.718  -0.027  -0.167
N  0.667  -0.516  -0.241  -0.038
C  0.891  0.703  -1.025  -0.237
C  2.280  0.742  -1.658  -0.184
C  2.744  -0.642  -2.170  -0.165
C  3.401  -0.494  -3.546  -0.103
C  3.785  -1.821  -4.175  -0.461
F  5.082  -2.112  -3.804  0.094
F  3.040  -2.860  -3.755  0.124
C  3.836  -1.799  -5.730  -0.435
F  4.396  -0.662  -6.147  0.136
F  4.621  -2.808  -6.156  0.114
S  2.164  -2.053  -6.597  0.776
F  1.348  -1.607  -5.324  -0.115
F  2.151  -0.536  -7.102  -0.144
F  2.937  -2.450  -7.936  -0.142
F  2.135  -3.563  -6.146  -0.124
F  0.797  -2.289  -7.359  -0.120
H  -1.205  0.164  0.467  0.081
H  -1.299  -0.844  -0.971  0.088
H  1.045  -0.333  0.685  0.111
H  0.777  1.572  -0.360  0.105
H  0.116  0.802  -1.788  0.114
H  3.025  1.170  -0.992  0.083
H  2.227  1.425  -2.516  0.102
H  1.904  -1.328  -2.190  0.110
H  3.509  -1.004  -1.482  0.120
H  2.701  0.036  -4.198  0.116
H  4.294  0.126  -3.490  0.135
C  3.884  3.015  3.199  -0.087
C  4.015  2.142  1.965  -0.309
O  2.878  2.264  1.122  -0.084
H  2.980  2.752  3.749  0.062
H  4.747  2.900  3.860  0.074
H  3.801  4.066  2.914  0.061
H  4.079  1.091  2.243  0.116
H  4.922  2.404  1.408  0.108
H  2.798  3.187  0.859  0.090
C  1.068  7.020  4.432  -0.083
C  2.215  6.491  3.593  -0.326
O  1.805  6.253  2.247  -0.084
H  0.238  6.313  4.423  0.077
H  1.379  7.181  5.465  0.062
H  0.700  7.967  4.027  0.071
H  2.564  5.543  3.990  0.073
H  3.056  7.195  3.595  0.110
H  1.496  7.086  1.878  0.075
C  1.854  -7.504  -7.442  -0.089
C  0.597  -7.269  -8.259  -0.325
O  -0.315  -6.411  -7.580  -0.086
H  1.602  -7.937  -6.473  0.077
H  2.541  -8.176  -7.960  0.071
H  2.371  -6.560  -7.251  0.067
H  0.068  -8.206  -8.433  0.108
H  0.853  -6.837  -9.234  0.106
H  0.137  -5.575  -7.424  0.071
C  -0.090  1.582  4.789  -0.079
C  -1.293  2.251  4.150  -0.334
O  -1.339  2.003  2.757  -0.090
H  0.828  1.946  4.326  0.054
H  -0.045  1.783  5.862  0.068
H  -0.131  0.502  4.636  0.079
H  -1.249  3.334  4.284  0.101
H  -2.219  1.886  4.613  0.100
H  -1.397  1.044  2.620  0.066
C  -5.510  1.604  -0.437  -0.087
C  -4.664  1.505  0.821  -0.310
O  -3.422  0.861  0.575  -0.087
H  -5.708  0.610  -0.840  0.069
H  -6.464  2.094  -0.231  0.069
H  -4.988  2.172  -1.211  0.074
H  -5.182  0.923  1.582  0.116
H  -4.464  2.501  1.232  0.104
H  -2.948  1.373  -0.090  0.080
C  4.349  6.065  7.514  -0.090
C  3.043  5.298  7.620  -0.319
O  2.707  4.653  6.397  -0.090
H  4.288  6.808  6.718  0.070
H  4.584  6.572  8.451  0.072
H  5.173  5.390  7.272  0.073
H  2.219  5.975  7.845  0.107
H  3.102  4.555  8.423  0.109
- - -
Added 7,038 Views / 1 LikesAbout Ethiopian Music: Ethiopia a country of traditional music. Contemporary music has been gaining ground since the 1960s. But most musicians who produce modern songs also sing traditional songs because there is a huge audience for it. A long-standing po
Abeba Desalegn - Bate Asaklugn (Ethiopian Music)
Added 2,519 Views / 2 LikesAbeba Desalegn - Bate Asaklugn (Ethiopian Music)
Abeba Desalegn - Emameye (Ethiopian music)
Added 3,439 Views / 2 LikesAbeba Desalegn - Emameye (Ethiopian music) 661
Abeba Desalegn - Gena Gud Yesemal (Ethiopian music)
Added 3,087 Views / 2 LikesAbeba Desalegn - Gena Gud Yesemal (Ethiopian music) 362
Abeba Desalegn - Girma Mogessie (Ethiopian music)
Added 2,499 Views / 1 LikesAbeba Desalegn - Girma Mogessie (Ethiopian music) 114
Abeba Desalegn - Layne (Ethiopian music)
Added 3,960 Views / 4 LikesAbeba Desalegn - Layne (Ethiopian music) 187
Abeba Desalegn - Teret Teret (Ethiopian Music)
Added 1,273 Views / 0 LikesAbeba Desalegn - Teret Teret (Ethiopian Music)
Abeba Desalegn - Werewn Semichalu (Ethiopian Music)
Added 3,402 Views / 1 LikesEthiopian Music- Abeba Desalegn - werewn Semichalu
Abeba Desaligne - Ayewashgnmi (Ethiopian music)
Added 2,396 Views / 0 LikesAbeba Desaligne - Atewashgnmi (Ethiopian music) 743
Abeba Habtu - Endeminew Wolo (Ethiopian Music)
Added 3,195 Views / 2 LikesEthiopian song by Abeba Habtu - Endeminew Wolo Ethiopian Music 2015 (Official Video) 319
Abeba Habtu - Endeminew Wolo (Ethiopian Music)
Added 1,199 Views / 1 LikesAbeba Habtu - Endeminew Wolo (Ethiopian Music)
Abebaw Abebe - Yageryalhe (Ethiopian Music)
Added 3,643 Views / 0 LikesAbout Ethiopian Music: Ethiopia a country of traditional music. Contemporary music has been gaining ground since the 1960s. But most musicians who produce modern songs also sing traditional songs because there is a huge audience for it. A long-standing po
Abebe Araya - Yiakleni (Ethiopian Music)
Added 1,106 Views / 0 LikesAbebe Araya - Yiakleni (Ethiopian Music)
Abebe Berihun - Arbegna Nat (Ethiopian Music)
Added 1,296 Views / 0 LikesAbout Ethiopian Music: Ethiopia a country of traditional music. Contemporary music has been gaining ground since the 1960s. But most musicians who produce modern songs also sing traditional songs because there is a huge audience for it. A long-standing po
Abebe Birhane - Angetwa (Ethiopian Music)
Added 1,928 Views / 0 LikesAbebe Birhane - Angetwa (Ethiopian Music)